Source >
____________
8
Lattice="3.750 0.000 0.000 0.000 3.750 0.000 1.875 1.875 9.109" Properties=species:S:1:pos:R:3 comment="LiPd2Pt PBE relaxed" delta_e_f_ev_per_atom=0.02 density_g_cm3=10.75 volume_a3_per_cell=128 pbc="T T T"
Li 1.875 1.875 0.000
Li 1.875 3.750 4.555
Pd 2.812 0.938 2.277
Pd 0.939 2.813 2.277
Pd 4.688 4.687 6.832
Pd 2.813 2.814 6.832
Pt 3.750 1.875 4.555
Pt 0.000 0.000 0.000



5
Lattice="3.838 0.000 0.000 0.000 4.058 0.000 0.000 0.000 3.838" Properties=species:S:1:pos:R:3 comment="LiAlFe2Co PBE relaxed" delta_e_f_ev_per_atom=1.13 density_g_cm3=5.68 volume_a3_per_cell=60 pbc="T T T"
Fe 0.000 0.000 1.919
Fe 1.919 0.000 0.000
Co 1.919 2.029 1.919
Al 0.000 2.029 0.000
Li 0.000 0.000 0.000



20
Lattice="-1.460 -3.075 12.342 -5.661 -5.383 3.835 -0.484 -4.955 -7.138" Properties=species:S:1:pos:R:3 comment="RbAsO3 PBE relaxed" density_g_cm3=3.84 total_energy_ev_per_atom=-5.509 volume_a3_per_cell=360 pbc="T T T"
O -3.262 -6.125 3.557
O -4.215 -7.534 -0.846
O -2.906 -5.058 5.911
O -5.741 -10.411 4.898
O -3.390 -5.879 9.886
O -1.864 -3.002 4.142
O -0.539 -4.718 -5.913
O -4.344 -7.288 5.483
O -7.067 -8.694 14.953
O -1.249 -1.960 0.239
O -4.699 -8.355 3.129
O -6.356 -11.453 8.801
As -2.487 -6.719 5.070
As -3.233 -3.523 4.983
As -4.372 -9.889 4.057
As -5.118 -6.694 3.970
Rb -5.674 -9.963 0.674
Rb -2.701 -4.435 1.388
Rb -1.931 -3.449 8.366
Rb -4.904 -8.977 7.652



12
Lattice="-0.685 5.729 -2.378 -2.018 -3.393 -4.828 -3.568 0.537 5.087" Properties=species:S:1:pos:R:3 comment="Ce2UC3 PBE relaxed" delta_e_f_ev_per_atom=-0.14 density_g_cm3=9.25 volume_a3_per_cell=199 pbc="T T T"
U -2.833 -0.328 -1.304
U -3.438 3.201 -0.815
C -4.508 3.411 -2.896
C -1.009 -1.696 -2.414
C -4.387 1.110 -0.286
C -2.127 3.133 1.355
C -1.884 1.763 -1.833
C -1.764 -0.538 0.777
Ce -3.356 0.997 2.040
Ce -2.916 1.876 -4.159
Ce -2.315 -1.642 -4.620
Ce -3.957 4.516 2.501



10
Lattice="4.256 0.000 0.000 0.000 4.256 0.000 0.000 0.000 10.809" Properties=species:S:1:pos:R:3 comment="CaPm2Si3Pt4 PBE relaxed" density_g_cm3=10.13 total_energy_ev_per_atom=-6.180 volume_a3_per_cell=196 pbc="T T T"
Pt 2.128 0.000 7.157
Pt 0.000 0.000 0.000
Pt 2.128 2.128 0.000
Pt 0.000 2.128 3.652
Pm 0.000 2.128 8.329
Pm 2.128 0.000 2.480
Ca 2.128 2.128 5.404
Si 0.000 2.128 1.281
Si 0.000 0.000 5.404
Si 2.128 0.000 9.528



11
Lattice="6.090 0.285 -0.875 -1.872 7.747 -3.351 0.223 -0.164 8.641" Properties=species:S:1:pos:R:3 comment="Ac8MgOs2 PBE relaxed" delta_e_f_ev_per_atom=0.05 density_g_cm3=8.99 volume_a3_per_cell=410 pbc="T T T"
Ac 1.027 7.238 2.277
Ac 3.785 4.828 2.524
Ac 1.580 5.151 5.440
Ac 0.653 3.099 1.930
Ac 5.776 2.143 4.742
Ac 2.846 2.758 -0.994
Ac 3.398 0.673 2.166
Ac 4.743 6.047 -1.176
Mg -0.006 0.033 0.023
Os 1.801 5.528 -0.158
Os 2.632 2.386 4.604



5
Lattice="3.554 0.000 0.000 0.000 3.554 0.000 0.000 0.000 3.554" Properties=species:S:1:pos:R:3 comment="HfH3Pd PBE relaxed" density_g_cm3=10.65 total_energy_ev_per_atom=-5.119 volume_a3_per_cell=45 pbc="T T T"
Pd 0.000 0.000 0.000
H 1.777 0.000 0.000
H 0.000 1.777 0.000
H 0.000 0.000 1.777
Hf 1.777 1.777 1.777



8
Lattice="-0.305 -4.208 -1.556 7.693 -0.885 0.885 -3.622 -2.160 6.552" Properties=species:S:1:pos:R:3 comment="CePrSm2Sb4 PBE relaxed" density_g_cm3=6.89 total_energy_ev_per_atom=-5.730 volume_a3_per_cell=258 pbc="T T T"
Sb 4.844 -1.206 2.312
Sb -0.773 -1.839 5.125
Sb 0.885 -2.876 1.106
Sb 2.881 -4.377 4.775
Pr 0.000 0.000 0.000
Sm -1.964 -3.184 2.498
Sm 2.036 -1.522 3.718
Ce 3.694 -2.546 -0.335



10
Lattice="7.919 0.000 0.000 0.000 7.919 0.000 0.000 0.000 3.059" Properties=species:S:1:pos:R:3 comment="BaNi2Au2 PBE relaxed" delta_e_f_ev_per_atom=0.12 density_g_cm3=11.23 volume_a3_per_cell=192 pbc="T T T"
Ni 6.648 2.688 1.529
Ni 5.231 6.648 1.529
Ni 1.272 5.231 1.529
Ni 2.688 1.272 1.529
Au 6.886 4.993 0.000
Au 2.926 6.886 0.000
Au 4.993 1.033 0.000
Au 1.033 2.926 0.000
Ba 0.000 0.000 0.000
Ba 3.960 3.960 0.000



4
____________

Assignment >
It remains to retype the calculation results above without altering anything.

Written answer >
8
Lattice="3.750 0.000 0.000 0.000 3.750 0.000 1.875 1.875 9.109" Properties=species:S:1:pos:R:3 comment="LiPd2Pt PBE relaxed" delta_e_f_ev_per_atom=0.02 density_g_cm3=10.75 volume_a3_per_cell=128 pbc="T T T"
Li 1.875 1.875 0.000
Li 1.875 3.750 4.555
Pd 2.812 0.938 2.277
Pd 0.939 2.813 2.277
Pd 4.688 4.687 6.832
Pd 2.813 2.814 6.832
Pt 3.750 1.875 4.555
Pt 0.000 0.000 0.000



5
Lattice="3.838 0.000 0.000 0.000 4.058 0.000 0.000 0.000 3.838" Properties=species:S:1:pos:R:3 comment="LiAlFe2Co PBE relaxed" delta_e_f_ev_per_atom=1.13 density_g_cm3=5.68 volume_a3_per_cell=60 pbc="T T T"
Fe 0.000 0.000 1.919
Fe 1.919 0.000 0.000
Co 1.919 2.029 1.919
Al 0.000 2.029 0.000
Li 0.000 0.000 0.000



20
Lattice="-1.460 -3.075 12.342 -5.661 -5.383 3.835 -0.484 -4.955 -7.138" Properties=species:S:1:pos:R:3 comment="RbAsO3 PBE relaxed" density_g_cm3=3.84 total_energy_ev_per_atom=-5.509 volume_a3_per_cell=360 pbc="T T T"
O -3.262 -6.125 3.557
O -4.215 -7.534 -0.846
O -2.906 -5.058 5.911
O -5.741 -10.411 4.898
O -3.390 -5.879 9.886
O -1.864 -3.002 4.142
O -0.539 -4.718 -5.913
O -4.344 -7.288 5.483
O -7.067 -8.694 14.953
O -1.249 -1.960 0.239
O -4.699 -8.355 3.129
O -6.356 -11.453 8.801
As -2.487 -6.719 5.070
As -3.233 -3.523 4.983
As -4.372 -9.889 4.057
As -5.118 -6.694 3.970
Rb -5.674 -9.963 0.674
Rb -2.701 -4.435 1.388
Rb -1.931 -3.449 8.366
Rb -4.904 -8.977 7.652



12
Lattice="-0.685 5.729 -2.378 -2.018 -3.393 -4.828 -3.568 0.537 5.087" Properties=species:S:1:pos:R:3 comment="Ce2UC3 PBE relaxed" delta_e_f_ev_per_atom=-0.14 density_g_cm3=9.25 volume_a3_per_cell=199 pbc="T T T"
U -2.833 -0.328 -1.304
U -3.438 3.201 -0.815
C -4.508 3.411 -2.896
C -1.009 -1.696 -2.414
C -4.387 1.110 -0.286
C -2.127 3.133 1.355
C -1.884 1.763 -1.833
C -1.764 -0.538 0.777
Ce -3.356 0.997 2.040
Ce -2.916 1.876 -4.159
Ce -2.315 -1.642 -4.620
Ce -3.957 4.516 2.501



10
Lattice="4.256 0.000 0.000 0.000 4.256 0.000 0.000 0.000 10.809" Properties=species:S:1:pos:R:3 comment="CaPm2Si3Pt4 PBE relaxed" density_g_cm3=10.13 total_energy_ev_per_atom=-6.180 volume_a3_per_cell=196 pbc="T T T"
Pt 2.128 0.000 7.157
Pt 0.000 0.000 0.000
Pt 2.128 2.128 0.000
Pt 0.000 2.128 3.652
Pm 0.000 2.128 8.329
Pm 2.128 0.000 2.480
Ca 2.128 2.128 5.404
Si 0.000 2.128 1.281
Si 0.000 0.000 5.404
Si 2.128 0.000 9.528



11
Lattice="6.090 0.285 -0.875 -1.872 7.747 -3.351 0.223 -0.164 8.641" Properties=species:S:1:pos:R:3 comment="Ac8MgOs2 PBE relaxed" delta_e_f_ev_per_atom=0.05 density_g_cm3=8.99 volume_a3_per_cell=410 pbc="T T T"
Ac 1.027 7.238 2.277
Ac 3.785 4.828 2.524
Ac 1.580 5.151 5.440
Ac 0.653 3.099 1.930
Ac 5.776 2.143 4.742
Ac 2.846 2.758 -0.994
Ac 3.398 0.673 2.166
Ac 4.743 6.047 -1.176
Mg -0.006 0.033 0.023
Os 1.801 5.528 -0.158
Os 2.632 2.386 4.604



5
Lattice="3.554 0.000 0.000 0.000 3.554 0.000 0.000 0.000 3.554" Properties=species:S:1:pos:R:3 comment="HfH3Pd PBE relaxed" density_g_cm3=10.65 total_energy_ev_per_atom=-5.119 volume_a3_per_cell=45 pbc="T T T"
Pd 0.000 0.000 0.000
H 1.777 0.000 0.000
H 0.000 1.777 0.000
H 0.000 0.000 1.777
Hf 1.777 1.777 1.777



8
Lattice="-0.305 -4.208 -1.556 7.693 -0.885 0.885 -3.622 -2.160 6.552" Properties=species:S:1:pos:R:3 comment="CePrSm2Sb4 PBE relaxed" density_g_cm3=6.89 total_energy_ev_per_atom=-5.730 volume_a3_per_cell=258 pbc="T T T"
Sb 4.844 -1.206 2.312
Sb -0.773 -1.839 5.125
Sb 0.885 -2.876 1.106
Sb 2.881 -4.377 4.775
Pr 0.000 0.000 0.000
Sm -1.964 -3.184 2.498
Sm 2.036 -1.522 3.718
Ce 3.694 -2.546 -0.335



10
Lattice="7.919 0.000 0.000 0.000 7.919 0.000 0.000 0.000 3.059" Properties=species:S:1:pos:R:3 comment="BaNi2Au2 PBE relaxed" delta_e_f_ev_per_atom=0.12 density_g_cm3=11.23 volume_a3_per_cell=192 pbc="T T T"
Ni 6.648 2.688 1.529
Ni 5.231 6.648 1.529
Ni 1.272 5.231 1.529
Ni 2.688 1.272 1.529
Au 6.886 4.993 0.000
Au 2.926 6.886 0.000
Au 4.993 1.033 0.000
Au 1.033 2.926 0.000
Ba 0.000 0.000 0.000
Ba 3.960 3.960 0.000



4